[Listing]
No. 1
A structure of composition C6H11Cl4CrNdO2 at a distorted geometry. Source: OMol25; level of theory: ωB97M-V/def2-TZVPD.

Output
- DFT total energy: -104278.3102 eV
- Expectation value of S²: 15.799
- Net charge: -2
- Multiplicity: 8
- Strongest force on any atom: 3.37 eV/Å

Last column: Löwdin charge in e.
Cartesian coordinates (Å):
Nd -2.5402 0.4265 0.1325  1.176
Cl -0.1822 1.1840 1.2635  0.008
C -3.0580 -1.2208 1.6442  -0.405
C -3.1779 2.5820 -0.2592  -0.406
H -4.0799 -0.9750 1.3826  -0.092
H -2.5724 -2.0153 1.1140  -0.069
H -2.5984 -0.7448 2.4962  -0.072
H -4.1834 2.1828 -0.2143  -0.089
H -2.7142 2.6841 -1.2194  -0.065
H -2.7387 3.0099 0.6263  -0.075
Cr 0.4713 -0.1103 -0.6450  0.201
C 1.7629 0.9575 -1.7823  -0.266
C -1.1334 -0.3969 -1.7156  -0.542
H 1.3395 1.0884 -2.7797  -0.052
H 1.9798 1.9296 -1.3245  -0.038
H 2.6922 0.3721 -1.8281  -0.041
H -1.6616 0.3386 -2.4096  -0.099
H -1.6183 -1.4111 -1.5397  -0.108
Cl 4.6672 -3.0622 1.1465  0.556
C 3.9429 -1.4746 1.3437  -1.498
Cl 3.4877 -1.1978 3.0497  0.547
Cl 5.0703 -0.1997 0.7944  0.546
C 2.5856 -1.3548 0.4438  -0.759
O 2.2400 -2.3614 -0.2529  -0.065
O 2.0192 -0.2310 0.5329  -0.293



No. 2
A structure of composition C23H32AuN4O6. Source: OMol25; level of theory: ωB97M-V/def2-TZVPD.

Output
- DFT total energy: -46301.0512 eV
- Expectation value of S²: 2.045
- Energy above the lowest of the compared OMol25 structures with the same formula, charge and spin: 11.5 kcal per mole
- Net charge: +1
- Multiplicity: 3
- Strongest force on any atom: 0.76 eV/Å

Last column: Löwdin charge in e.
Cartesian coordinates (Å):
Au 0.0119 0.8470 0.2155  1.220
C -3.4606 -1.8820 -2.0342  0.008
C -2.6929 -0.6413 -1.6838  -0.348
O -2.0310 -0.5825 -0.6676  0.046
C -2.7783 0.5451 -2.5998  -0.041
C -3.8323 0.6556 -3.4685  0.007
C -3.9899 1.7710 -4.3164  0.004
C -3.0516 2.8060 -4.3178  -0.038
C -1.9711 2.7313 -3.4843  0.048
C -1.7767 1.6088 -2.5837  -0.297
O -0.7380 1.5965 -1.8851  -0.021
H -3.1267 -2.6829 -1.3799  0.090
H -3.3190 -2.1630 -3.0771  0.101
H -4.5286 -1.7237 -1.8726  0.101
H -4.5781 -0.1257 -3.5120  0.120
H -4.8448 1.8148 -4.9764  0.123
H -3.1803 3.6493 -4.9818  0.122
H -1.2045 3.4933 -3.4645  0.121
N 0.9060 1.2969 3.0833  0.033
C 1.9298 1.2941 3.9510  -0.056
C 3.0934 1.2401 3.2162  -0.034
C 2.6766 1.1899 1.8818  -0.110
N 1.3537 1.2420 1.8240  -0.092
H -0.0834 1.1604 3.2542  0.137
H 1.7515 1.3292 5.0116  0.130
H 4.1012 1.2324 3.5885  0.106
H 3.2532 1.1140 0.9754  0.122
C -1.4151 3.9945 0.8081  -0.060
C -0.3404 4.2585 -0.2174  -0.265
O 0.6738 3.2678 -0.0684  -0.280
C 1.7587 3.4021 -0.9970  -0.265
C 2.7769 4.4209 -0.5329  -0.057
H -2.2307 4.7101 0.7033  0.087
H -1.0170 4.0815 1.8190  0.083
H -1.8396 2.9931 0.6900  0.061
H 0.0972 5.2505 -0.0746  0.125
H -0.7412 4.2113 -1.2358  0.101
H 1.3543 3.6505 -1.9832  0.118
H 2.2098 2.4108 -1.0750  0.108
H 2.3560 5.4242 -0.4768  0.075
H 3.6132 4.4553 -1.2314  0.087
H 3.1639 4.1544 0.4506  0.078
C 2.7353 -4.6248 2.4977  -0.073
C 2.3177 -3.2909 1.8980  -0.154
C 1.0566 -3.3466 0.9783  -0.300
C 1.2091 -4.3915 -0.1293  -0.172
C 0.0456 -4.3960 -1.1123  -0.068
C -0.1260 -3.6974 1.8669  -0.392
O -0.4486 -4.8273 2.1327  0.127
N -0.7834 -2.6258 2.4565  0.222
C -0.7062 -1.3147 2.0386  -0.549
O -1.3240 -0.4243 2.6089  0.019
N 0.1042 -1.0597 0.9741  0.014
C 0.9532 -1.9540 0.3819  -0.464
O 1.6366 -1.5975 -0.5590  0.064
H 3.5312 -4.4676 3.2251  0.081
H 3.1178 -5.3040 1.7376  0.080
H 1.9098 -5.1218 3.0058  0.078
H 3.1193 -2.8828 1.2786  0.125
H 2.1342 -2.5642 2.6969  0.120
H 1.2921 -5.3683 0.3440  0.117
H 2.1462 -4.1883 -0.6494  0.130
H -0.8934 -4.6278 -0.6060  0.077
H 0.1941 -5.1548 -1.8795  0.081
H -0.0515 -3.4335 -1.6181  0.070
H -1.4788 -2.8387 3.1577  0.171



No. 3
A cluster of 8 separate species, C26H62N6O10 in total at a distorted geometry. Source: OMol25; level of theory: ωB97M-V/def2-TZVPD.

Output
- DFT total energy: -57384.4699 eV
- Energy above the lowest of the compared OMol25 structures with the same formula, charge and spin: 0.0 kcal per mole
[What to do]
Find the line above that holds "2.6766 1.1899", then restate that line and all lines after it there.
[Written answer]
C 2.6766 1.1899 1.8818  -0.110
N 1.3537 1.2420 1.8240  -0.092
H -0.0834 1.1604 3.2542  0.137
H 1.7515 1.3292 5.0116  0.130
H 4.1012 1.2324 3.5885  0.106
H 3.2532 1.1140 0.9754  0.122
C -1.4151 3.9945 0.8081  -0.060
C -0.3404 4.2585 -0.2174  -0.265
O 0.6738 3.2678 -0.0684  -0.280
C 1.7587 3.4021 -0.9970  -0.265
C 2.7769 4.4209 -0.5329  -0.057
H -2.2307 4.7101 0.7033  0.087
H -1.0170 4.0815 1.8190  0.083
H -1.8396 2.9931 0.6900  0.061
H 0.0972 5.2505 -0.0746  0.125
H -0.7412 4.2113 -1.2358  0.101
H 1.3543 3.6505 -1.9832  0.118
H 2.2098 2.4108 -1.0750  0.108
H 2.3560 5.4242 -0.4768  0.075
H 3.6132 4.4553 -1.2314  0.087
H 3.1639 4.1544 0.4506  0.078
C 2.7353 -4.6248 2.4977  -0.073
C 2.3177 -3.2909 1.8980  -0.154
C 1.0566 -3.3466 0.9783  -0.300
C 1.2091 -4.3915 -0.1293  -0.172
C 0.0456 -4.3960 -1.1123  -0.068
C -0.1260 -3.6974 1.8669  -0.392
O -0.4486 -4.8273 2.1327  0.127
N -0.7834 -2.6258 2.4565  0.222
C -0.7062 -1.3147 2.0386  -0.549
O -1.3240 -0.4243 2.6089  0.019
N 0.1042 -1.0597 0.9741  0.014
C 0.9532 -1.9540 0.3819  -0.464
O 1.6366 -1.5975 -0.5590  0.064
H 3.5312 -4.4676 3.2251  0.081
H 3.1178 -5.3040 1.7376  0.080
H 1.9098 -5.1218 3.0058  0.078
H 3.1193 -2.8828 1.2786  0.125
H 2.1342 -2.5642 2.6969  0.120
H 1.2921 -5.3683 0.3440  0.117
H 2.1462 -4.1883 -0.6494  0.130
H -0.8934 -4.6278 -0.6060  0.077
H 0.1941 -5.1548 -1.8795  0.081
H -0.0515 -3.4335 -1.6181  0.070
H -1.4788 -2.8387 3.1577  0.171



No. 3
A cluster of 8 separate species, C26H62N6O10 in total at a distorted geometry. Source: OMol25; level of theory: ωB97M-V/def2-TZVPD.

Output
- DFT total energy: -57384.4699 eV
- Energy above the lowest of the compared OMol25 structures with the same formula, charge and spin: 0.0 kcal per mole